# To do
Find the line below that holds "-1.22579 -5.58817", then type out that line and all lines after it there, please.

# Contents
~~~
Entry from OMol25: 2 unconnected molecules or ions with the total composition C4H14N (the ωB97M-V functional and the def2-TZVPD basis).

Geometry as XYZ:
```
19
Properties=species:S:1:pos:R:3:forces:R:3
H 0.86056 -1.09267 1.41750 0.1462 0.9895 -0.7681
H -3.02066 1.38047 -1.34743 0.3927 -0.1677 0.1095
H -2.41319 0.03090 -3.10203 0.1114 -0.5799 -0.0731
C 2.70222 -0.39969 1.90990 1.7990 -1.4999 -2.0725
H 3.25331 0.51616 2.03881 -0.2671 0.3827 0.9294
H 3.29690 -0.86153 1.08264 -0.7257 0.2859 0.1617
H 0.40697 1.33108 0.16881 -0.1133 0.1322 0.5580
H -3.25610 0.10989 -0.16236 -0.3315 -0.4725 -0.8838
N 1.33045 -0.15755 1.39861 -0.9588 -0.8592 1.6869
H 2.17421 1.27793 0.27305 -0.0875 -0.0922 -1.0444
H -3.17850 -1.30811 -2.14211 0.2849 0.1555 -0.6013
C 1.27131 0.67580 0.16492 -0.3094 0.3428 0.2428
H -1.42781 -1.12673 -2.11987 -0.0228 0.2541 -0.0183
C -2.61964 0.41780 -1.01141 0.7296 -0.2290 0.9947
H 0.82043 0.37310 2.10861 0.0472 -0.1291 0.1617
C -2.36488 -0.57026 -2.19041 -1.2286 0.3487 1.0121
H -1.69107 0.53375 -0.42564 0.0724 0.6732 -0.5173
H 1.07647 0.07584 -0.70483 0.9446 -0.3670 -0.4473
H 2.77903 -1.20620 2.64326 -0.4833 0.8318 0.5691
```
Forces are in eV/Å.

Properties
largest force on an atom: 0.0608 hartree/bohr
multiplicity: 1
LUMO: -3.716 eV
energy relative to the best compared isomer or geometry (same formula, charge and spin): 32.5 kcal per mole
energy: -5857.44591 eV
HOMO-LUMO gap: 10.69 eV
net charge: +1

---

Entry from OMol25: 3 unconnected molecules or ions with the total composition C27H54ClN9O3P2 (the ωB97M-V functional and the def2-TZVPD basis).

Geometry as XYZ:
```
96
Properties=species:S:1:pos:R:3:forces:R:3
H -1.38466 0.61786 -5.78532 0.2445 0.1221 0.0871
H 1.29457 4.67389 1.42791 0.6233 -0.3826 0.7961
H -3.22123 2.10128 -0.45929 -0.0520 0.0094 -0.0097
C 4.33760 4.77254 -0.02706 -0.2008 -1.3726 0.9655
H -1.96984 3.32978 -3.98629 -0.0428 -0.3172 0.0070
H -1.22579 -5.58817 4.10842 -0.0965 -0.1952 -0.2572
H -3.09386 3.95273 -2.82809 0.0380 -0.1387 0.3059
H -4.78686 -6.64132 3.62888 0.0261 0.0900 0.1547
C -4.99707 -3.38599 3.92519 0.1016 -0.5823 0.1051
O -4.66471 -3.57987 0.68573 3.3774 -0.5935 -2.5189
N -4.96666 -5.70276 1.72522 -0.5245 -1.0673 -1.1410
H 1.18276 0.64281 -4.71794 0.0777 0.0395 0.0315
H -2.70871 -1.11824 -2.92898 -0.0267 0.1377 -0.0780
H -6.26132 -5.66854 3.38516 0.1236 0.0438 0.0966
H 4.45344 -0.74753 -2.19647 -0.8459 0.6738 0.5081
H 7.98647 3.12848 -1.09798 0.1767 -0.2082 0.1119
H 5.57035 1.06390 -2.64331 0.2169 0.9409 0.5052
H -2.69345 3.77130 -0.71616 0.0734 -0.0353 -0.1485
H -3.49568 -1.29556 3.39929 -0.0241 -0.2063 0.1226
H -5.08475 -5.85619 -0.38184 0.0697 0.1197 0.0855
C 4.26867 -0.36099 -0.05650 -0.5028 -1.3230 -0.3119
H -1.57753 2.61304 -0.03575 -0.1308 -0.0987 -0.0291
C 3.65520 -0.34385 -1.50906 0.3449 -0.6704 0.7195
C 7.55520 1.42998 -1.78656 0.1955 1.0390 0.3354
H -2.50195 0.42011 -4.48068 0.0236 -0.1451 0.1311
C 5.04225 6.08659 -2.28450 -0.0581 -0.3718 0.6710
H 2.82406 -1.10090 -1.52023 0.6254 0.8890 -0.0087
H -1.80453 0.18139 0.53555 -0.0325 -0.1467 0.1346
H 3.24309 0.64525 -1.82758 0.4317 -0.9280 0.2462
N -0.67975 1.32883 -3.93352 0.2310 0.7666 -1.2114
H -2.87532 -5.44026 4.70194 -0.1272 0.0849 -0.0767
Cl -0.39209 2.79976 2.36964 0.7572 -0.3013 0.5110
H -5.99257 -3.30290 3.47169 -0.1159 -0.0234 0.0593
H 0.43484 1.98394 -5.60750 -0.2162 -0.0366 0.0497
C 0.59779 1.56377 -4.61025 0.1392 0.0523 0.3437
C 5.36060 2.65788 -1.05593 -0.2998 -0.6037 0.7547
H -0.19790 -0.35772 0.02667 0.0314 0.1262 -0.1232
H -2.16697 -6.55256 0.93351 -0.1034 -0.1039 0.0580
H -4.89428 -2.58667 4.66471 0.1352 0.1206 -0.2206
C 5.01310 4.12238 -1.16729 0.2317 -1.8767 1.0685
C -2.62401 3.02523 -3.17174 0.3631 0.9175 -0.4590
C -2.83107 -0.50897 -2.03146 -0.4290 0.4517 -0.1263
C -5.20443 -6.47376 0.50920 -0.0520 0.2720 -0.2640
H 4.15311 7.84726 -1.21752 0.1966 -1.1908 0.1252
C 1.21200 3.19056 3.14709 0.4458 1.4372 -0.0381
C 6.12381 1.95027 -2.23958 0.6835 -0.5313 0.2445
~~~

# Written answer
H -1.22579 -5.58817 4.10842 -0.0965 -0.1952 -0.2572
H -3.09386 3.95273 -2.82809 0.0380 -0.1387 0.3059
H -4.78686 -6.64132 3.62888 0.0261 0.0900 0.1547
C -4.99707 -3.38599 3.92519 0.1016 -0.5823 0.1051
O -4.66471 -3.57987 0.68573 3.3774 -0.5935 -2.5189
N -4.96666 -5.70276 1.72522 -0.5245 -1.0673 -1.1410
H 1.18276 0.64281 -4.71794 0.0777 0.0395 0.0315
H -2.70871 -1.11824 -2.92898 -0.0267 0.1377 -0.0780
H -6.26132 -5.66854 3.38516 0.1236 0.0438 0.0966
H 4.45344 -0.74753 -2.19647 -0.8459 0.6738 0.5081
H 7.98647 3.12848 -1.09798 0.1767 -0.2082 0.1119
H 5.57035 1.06390 -2.64331 0.2169 0.9409 0.5052
H -2.69345 3.77130 -0.71616 0.0734 -0.0353 -0.1485
H -3.49568 -1.29556 3.39929 -0.0241 -0.2063 0.1226
H -5.08475 -5.85619 -0.38184 0.0697 0.1197 0.0855
C 4.26867 -0.36099 -0.05650 -0.5028 -1.3230 -0.3119
H -1.57753 2.61304 -0.03575 -0.1308 -0.0987 -0.0291
C 3.65520 -0.34385 -1.50906 0.3449 -0.6704 0.7195
C 7.55520 1.42998 -1.78656 0.1955 1.0390 0.3354
H -2.50195 0.42011 -4.48068 0.0236 -0.1451 0.1311
C 5.04225 6.08659 -2.28450 -0.0581 -0.3718 0.6710
H 2.82406 -1.10090 -1.52023 0.6254 0.8890 -0.0087
H -1.80453 0.18139 0.53555 -0.0325 -0.1467 0.1346
H 3.24309 0.64525 -1.82758 0.4317 -0.9280 0.2462
N -0.67975 1.32883 -3.93352 0.2310 0.7666 -1.2114
H -2.87532 -5.44026 4.70194 -0.1272 0.0849 -0.0767
Cl -0.39209 2.79976 2.36964 0.7572 -0.3013 0.5110
H -5.99257 -3.30290 3.47169 -0.1159 -0.0234 0.0593
H 0.43484 1.98394 -5.60750 -0.2162 -0.0366 0.0497
C 0.59779 1.56377 -4.61025 0.1392 0.0523 0.3437
C 5.36060 2.65788 -1.05593 -0.2998 -0.6037 0.7547
H -0.19790 -0.35772 0.02667 0.0314 0.1262 -0.1232
H -2.16697 -6.55256 0.93351 -0.1034 -0.1039 0.0580
H -4.89428 -2.58667 4.66471 0.1352 0.1206 -0.2206
C 5.01310 4.12238 -1.16729 0.2317 -1.8767 1.0685
C -2.62401 3.02523 -3.17174 0.3631 0.9175 -0.4590
C -2.83107 -0.50897 -2.03146 -0.4290 0.4517 -0.1263
C -5.20443 -6.47376 0.50920 -0.0520 0.2720 -0.2640
H 4.15311 7.84726 -1.21752 0.1966 -1.1908 0.1252
C 1.21200 3.19056 3.14709 0.4458 1.4372 -0.0381
C 6.12381 1.95027 -2.23958 0.6835 -0.5313 0.2445